Advice for PropTCP use
Posts: 68
So when proptcp first came out, I think it would actually reference a html file. I've since lost those files, but now the web page is imbedded inline with the code as small sections of information, I don't know if the size of the packet of information has anything to do with the buffer size yet. Anyway, I think I can get buttons to do things pretty easilly to do forward backwards and turn left and right on the robot. But I think I would like to experiment further with using java sliders as a more intuitive input. I envision a up and down slider for forward and backeards, left and right slider to turn and a full stop button that would return the sliders to neutral. I've found a tutorial here: for sliders. The full stop button might be an issue because it has to effect the user side as well as the server side. What do you think...any advice? I'm at the infant stages of this and I have the unfortunate habit of bumbling through things without really knowing what is going on. I'll poke at it some more and maybe it is easier than I think. Has this been done before? Has someone already written a robot interface for propTCP?
One thing I have figured out is that when you hit submit the computer sends the server a text string and that ends up in the @reqstr variable. so, for instance, I move the slider half way and hit submit, @reqstr looks like this: "GET /sb2.html?up=50 HTTP/1.1" where 50 is the slider position.
I try to parse this string with the following code:
kung:=byte [panda] [17]-48
foo:=byte [panda] [18]-48
kung and foo seem to output correctly when I display their individual decimal values to the web page, (kung appears to =5 and foo appears to equal 0) but ups always seems to be 0 or -1. All variables are declared as longs. I also have no idea why I have to subtract 48...
I hate asking for help, considering the depths of my ignorance, but I appreciate the advice and expertise
This is not how you should parse a string, as it is to much hardcoded. Whenever you change the name of the slider (make it longer or shorter) you have to adapt the indexes. You should have a function which searches for a name and returns the value.
getRequestLong( "up" ) for example.
This will search for "up" in the request string, skip the "=" and convert the following bytes into a long. The end of that value would be a space (seems to be the separator between 50 and HTTP) or a "&" (this would be the separator between 2 different input-fields if send with the same form).
The -48 comes from the fact that you have the number in a string representation. "0" has the ASCII-value 48. So, "5" - 48 is the same as "5"-"0" which is 5. "0" - "0" = 0
Your method will definitely fail when you send 100, as it'll return 10 in this case.
Why it fails at the moment I can't tell you currently, have to be back home to do some more investigations/testing.
It will also allow you to do some fancy things with graphics and feedback that would otherwise be highly involved.
If you can work out a way to read the http files from an SD card, I am happy to write the interface for you, if you're interested.
But again, having a parser which parses the request is important. Because the parser has to return the name of the HTML or JS that has been requested.
I guess I'd try it with a simple solution:
Let's say the maximum number of parameters you want to pass to a single request is 10. I'd create a word array with 11 elements (1 for the page name).
for example: GET /sb2.html?up=50&left=20 HTTP/1.1 RESULT (let's say # would be a real 0 byte, not a "0" character):
GET /sb2.html#up=50#left=20#HTTP/1.1
par_list[0] contains @request_buffer + 5
par_list[1] contains @request_buffer + 14
par_list[2] contains @request_buffer + 20
Crystal structures, kept here for reference
~~~
CdCl: theoretical X-ray diffraction stick pattern (Cu Kα (weighted mean of Kα1 and Kα2)), based on a crystal structure in Alexandria, relaxed with GGA-PBE.
Intensities are scaled so that the largest is 100.

Largest 12 diffraction maxima, in order of rising 2θ, 2θ from 10° to 80°:
2theta	I_rel
10.2	100
28.1	49
32.3	95
36.6	32
44.5	32
48.1	31
49.3	13
59.1	15
65.5	12
67.6	14
74.2	10
79.6	12

Cell and atoms:
```
data_CdCl
_chemical_formula_sum 'Cd6 Cl6'
_cell_length_a 3.782
_cell_length_b 3.782
_cell_length_c 25.988
_cell_angle_alpha 90.00
_cell_angle_beta 90.00
_cell_angle_gamma 120.00
_space_group_name_H-M_alt 'P 1'
_space_group_IT_number 1
_space_group_name_Hall 'P 1'
loop_
_atom_site_label
_atom_site_fract_x
_atom_site_fract_y
_atom_site_fract_z
Cd1 0.000 0.000 0.209
Cd2 0.000 0.000 0.791
Cd3 0.333 0.667 0.126
Cd4 0.333 0.667 0.541
Cd5 0.667 0.333 0.459
Cd6 0.667 0.333 0.874
Cl1 0.000 0.000 0.399
~~~
Back to the text
par_list[3-10] should be 0
If you also plan to have text-input containing spaces and special-characters there is some additional work needed, as you'd have to convert these from URL encoding to an ASCII string.
Now you can use each par_list-entry with all the available string functions. SD-card open for example also expects the filename as a string. There are string libraries which convert a character number into a long ...
You'll propably have different requests which don't send a page but different AJAX data. An easy solution would be to use a naming convention for this:
GET /ajax_nn?up=50&left=20 HTTP/1.1
nn being 00-99
So, you simply need to check whether par_list[0] points to an "ajax_" string and do a string to number conversion of par_list[0]+5.
Then you can have a case statement which returns the data according to the ajax request number.
The SD-code itself is easy. Just grab one of the SD card drivers, open the file with par_list[0] (if it is NOT an ajax-request), read the file into a buffer and send it. There needs to be some knowledge of how to do that if the file is bigger than the buffer. Reading in bunches is not a problem, but I don't know enough about propTCP. So I can't tell you how you can send TCP packages in junks. And I don't have a setup for testing.
The package attached shall contain demos using SD card and AJAX